### Assignment
Your job: count the lines further down that contain the word "the" and give the number alone.

### Input
********
Entry 1:
## Sb2RuC6O6F12 (PBE)

Data for an optimized crystal structure of Sb2RuC6O6F12.

abc: 8.400 8.400 12.618
angles: 90.00 90.00 90.00
Sites, in units of the cell vectors:
F  0.339  0.161  0.250
F  0.392  0.881  0.641
F  0.339  0.161  0.750
F  0.839  0.339  0.250
F  0.892  0.619  0.141
F  0.161  0.661  0.750
F  0.608  0.119  0.359
F  0.619  0.108  0.141
F  0.892  0.619  0.859
F  0.119  0.392  0.641
F  0.381  0.892  0.141
F  0.161  0.661  0.250
F  0.108  0.381  0.141
F  0.381  0.892  0.859
F  0.108  0.381  0.859
F  0.881  0.608  0.641
F  0.839  0.339  0.750
F  0.661  0.839  0.750
F  0.392  0.881  0.359
F  0.619  0.108  0.859
F  0.881  0.608  0.359
F  0.608  0.119  0.641
F  0.119  0.392  0.359
F  0.661  0.839  0.250
C  0.500  0.500  0.659
C  0.298  0.629  0.500
C  0.000  0.000  0.841
C  0.129  0.798  0.000
C  0.000  0.000  0.159
C  0.629  0.702  0.500
C  0.202  0.129  0.000
C  0.798  0.871  0.000
C  0.500  0.500  0.341
C  0.702  0.371  0.500
C  0.871  0.202  0.000
C  0.371  0.298  0.500
O  0.799  0.317  0.000
O  0.000  0.000  0.751
O  0.701  0.817  0.500
O  0.500  0.500  0.251
O  0.299  0.183  0.500
O  0.000  0.000  0.249
O  0.817  0.299  0.500
O  0.500  0.500  0.749
O  0.183  0.701  0.500
O  0.683  0.799  0.000
O  0.317  0.201  0.000
O  0.201  0.683  0.000
Sb  0.500  0.000  0.250
Sb  0.500  0.000  0.750
Sb  0.000  0.500  0.750
Sb  0.000  0.500  0.250
Ru  0.500  0.500  0.500
Ru  0.000  0.000  0.000

Computed properties:
Energy ... -6.19 eV per atom

=====

Entry 2:
## ZrMnFe (PBE)

Data for an optimized crystal structure of ZrMnFe.

abc: 4.979 4.979 4.979
angles: 89.86 119.88 120.28
Last column: magnetic moment on the atom in μB.
Sites, in units of the cell vectors:
Zr  0.250  0.125  0.875  -0.41
Zr  0.750  0.875  0.125  -0.41
Fe  0.500  0.000  0.500  1.56
Fe  0.000  0.500  0.500  1.56
Mn  0.000  0.500  0.000  1.59
Mn  0.500  0.500  0.500  1.59

Computed properties:
E_form ... -0.68 eV per formula unit

~~~~~

[1]
Below is crystalline Er2Pu at its relaxed geometry, with properties calculated at the PBE level.

Computed properties:
The total energy is -5.104 eV/atom. For the density, the calculation gives 4.55 g/cm3. Its calculated volume is 70.35 Å³ per atom. The value obtained for the calculated formation energy is 2.647 eV per atom. The total magnetization comes out at 12.8 μB/cell. As for the space-group type: Fd-3m.

POSCAR file:
```
Er2Pu
1.0
-8.106 0.736 -2.157
-5.804 -4.828 3.728
-5.496 3.421 5.384
Er Pu
4 2
Cartesian
-11.330 0.116 1.529
-10.179 -2.666 4.472
-7.277 -0.252 2.608
-10.025 1.459 5.300
-4.851 -0.168 1.739
-9.703 -0.336 3.477
```

---

[2]
Below is crystalline CdCuAgBi at its relaxed geometry, with properties calculated at the PBE level.

Computed properties:
Its energy above the most stable polymorph in this dataset is 0.000 eV per atom. The total energy is -2.675 eV/atom. For the density, the calculation gives 9.78 g/cm3. Its calculated volume is 20.91 Å³ per atom. As for the space-group type: F-43m.

POSCAR file:
```
CdCuAgBi
1.0
0.000 3.471 3.471
3.471 0.000 3.471
3.471 3.471 0.000
Ag Bi Cd Cu
1 1 1 1
Cartesian
1.735 1.735 1.735
0.000 0.000 0.000
3.471 3.471 3.471
5.206 5.206 5.206
```

---

[3]
Below is crystalline PaCoIr at its relaxed geometry, with properties calculated at the PBE level.

Computed properties:
Its energy above the most stable polymorph in this dataset is 0.000 eV per atom. The total energy is -8.873 eV/atom. For the density, the calculation gives 14.51 g/cm3. Its calculated volume is 18.39 Å³ per atom. The value obtained for the calculated formation energy is -0.388 eV per atom. The total magnetization comes out at 0.0 μB/cell. As for the space-group type: F-43m.

POSCAR file:
```
PaCoIr
1.0
0.000 3.022 3.022
3.022 0.000 3.022
3.022 3.022 0.000
Co Ir Pa
1 1 1
Cartesian
0.000 0.000 0.000
1.511 1.511 1.511
4.532 4.532 4.532
```

---

[4]
Below is crystalline NpW at its relaxed geometry, with properties calculated at the PBE level.

Computed properties:
********

### Written answer
10